Communication with our healthcare providers in-between visits is a powerful aspect of healthcare. This in-between visit communication and information sharing can help us make informed healthcare decisions and build our health literacy. Meaning we can find, understand and use information that helps us make informed health-related decisions for ourselves and our loved ones. 

We need and want our healthcare providers to develop an open, trusting rapport with us. At its core, medicine is a service industry, and providing patients with evidence-based information and improving communication leads to better service–better health for us, the patients.

With experience in patient-clinician communication, engagement, and education for almost 25 years, Geri Baumblatt understands how vital the exchange of information is between patients and health professionals. She identified the need to improve communication pathways with patients while developing online education with nurses. While teaching these healthcare professionals, she identified where the real need for education was — with patients.

Here’s Geri talking about her own experience:

“I had been in a very bad car accident my first year in grad school. So I had really been through the wringer. I’d go to physical therapy, do my exercises, do a return demonstration during the session, go home with a handout sheet with little stick figures to show you how to do the exercises at home. But I’d come back a week later and show my therapist how I’d been doing the exercise, and she’d say: ‘You weren’t pointing your toe down — so you were working the wrong muscles.’ And I’m thinking: where on the stick figure drawing was the toe pointing down? So you realize there are all these details you need help remembering “

This was a defining moment for Geri that brought her to the work she does today. She realized that good, well-vetted, and produced information for patients was a real gap she could help fill. Further, she became convinced that clinician-prescribed information is pivotal in ensuring better healthcare. She wanted to make it easy for clinicians and care teams to assign or e-prescribe videos, interactive decision aids, and checklists to patients. Her approach goes beyond referring people to reliable websites and hoping they find the information right for them.  Geri believes that when we as patients get the correct information, we can truly understand our health condition, treatment, and our role in our ongoing health. 

Today, the internet, smartphones, and super-fast broadband (for most of us) make sharing videos, photos, and other content easy and accessible.

What is asynchronous/In-between visit communication? 

The term “asynchronous” might sound a little formal or negative. After all, the word asynchronous means “not existing or happening at the same time,” which is the opposite of words with a more positive meaning like “harmonious” and “aligned.”

However, asynchronous, when used in the term “asynchronous communication,” is something that we do all the time, mostly with positive results. For example, we participate in asynchronous communication every time we send out a text, e-mail, or send video information to friends on social media or via email.

Records of molecules, kept here for reference:
____________
ORCA calculation (ωB97M-V with the def2-TZVPD basis set) on C6H9N3O2 in the gas phase.

Summary:
E, eV: -14932.488
Net charge: 0
HOMO-LUMO gap, eV: 9.3
Largest force on an atom, eV/A: 5.145
Multiplicity: 1
ΔE to the lowest compared entry with this formula, charge and spin, kJ/mol: 164.3

Each line ends with the Mulliken charge.
CARTESIAN COORDINATES (ANGSTROEM)
1 N -1.63481 -1.27733 0.01108  -0.615
2 C -0.75541 -0.83146 -1.10250  0.349
3 C -0.28202 0.60823 -1.03160  -0.923
4 C 0.12789 0.93363 0.33025  0.579
5 C -0.53843 1.66086 1.28956  -0.771
6 N 0.29259 1.54371 2.37127  -0.059
7 C 1.33679 0.73043 2.09005  -0.339
8 N 1.26001 0.32776 0.79240  -0.437
9 C 0.53567 -1.61330 -1.19013  0.311
10 O 1.08676 -2.41018 -0.41858  -0.575
11 O 1.31569 -1.22757 -2.29648  -0.478
12 H -2.54613 -0.79848 -0.08965  0.265
13 H -1.75548 -2.17847 -0.27317  0.256
14 H -1.21302 -0.83149 -2.08705  0.335
15 H -1.08220 1.20871 -1.34840  0.486
16 H 0.65122 0.85564 -1.64423  0.280
17 H -1.31819 2.36066 1.19157  0.434
18 H 0.13898 2.04954 3.26448  0.218
19 H 2.28821 0.66580 2.61503  0.356
20 H 2.09189 -1.77669 -2.47390  0.329


{
  "formula": "C18H26ClN3O3",
  "method": "the ωB97M-V functional and the def2-TZVPD basis",
  "smiles": "COCCCN1CCC(NC(=O)c2cc(Cl)c(N)c3c2OCC3)CC1",
  "de_lowest_ev": 1.636,
  "homo_lumo_gap_ha": 0.3213,
  "homo_energy_ha": -0.301,
  "total_charge": 0,
  "mol_weight_g_mol": 367.88,
  "energy_ha": -1551.7000,
  "elements": ["C", "O", "C", "C", "C", "N", "C", "C", "C", "N", "C", "O", "C", "C", "C", "Cl", "C", "N", "C", "C", "O", "C", "C", "C", "C", "H", "H", "H", "H", "H", "H", "H", "H", "H", "H", "H", "H", "H", "H", "H", "H", "H", "H", "H", "H", "H", "H", "H", "H", "H", "H"],
____________

In healthcare, Baumblatt defines asynchronous communication as,

“Getting information and education before, after, or in-between visits with our healthcare providers as a path to better health.” So people look at and respond to the information when it’s convenient for them.

Unlike face-to-face or “synchronous” communication, asynchronous communications are about sending information that doesn’t require an immediate reply. For example, information placed onto websites, electronic reminders, and electronic assessments are all forms of asynchronous communication. 

The American TeleMedicine Association defines it this way: 

Asynchronous telehealth interactions allow patients and providers to communicate and exchange important health information when it’s most convenient for them. In contrast, synchronous telehealth interactions require patients and providers to communicate in “real-time.” 

Asynchronous communication is part of telehealth

More and more, healthcare professionals and patients alike find themselves relying on technology to communicate. Whether through video chat, text, or e-mail, technology makes it easier to meet healthcare needs without meeting face to face.

According to the Centers for Disease Control Prevention (CDC), the use of telehealth services grew 154% in 2020 when compared to the year before. The growth of accessible health care through telehealth also opened new communication options. For example, most people think of real-time, virtual visits with a physician as telehealth, but telehealth is so much more. Telehealth, using technology to provide healthcare from different locations, utilizes various asynchronous communication tools.

Here’s Baumblatt, “Clinicians need to hear from patients to truly tailor their care and help them be successful.” In-between visit communication –viewing and digesting information “prescribed” by our healthcare provider–helps us better understand our treatment and condition. When we have a grounding in the basic information about our condition, the time we spend with our providers can focus on treatment goals, preferences, and our overall care plan. Best of all, this in-between-visit communication will enable us to stay connected and linked to our providers.

Where and when is asynchronous/in-between communication most helpful?

When it comes to educating patients, Baumblatt sees asynchronous communication as an excellent means to pre-educate people about the basics of a treatment, condition, or diagnosis before a visit. This way, we can have better and more personalized conversations with our healthcare providers. 

There are three core reasons to ask for more information to review on our own in-between visits to:
1-Reinforce information after visits that we will be challenging to remember from a single conversation with our healthcare provider
2-Provide additional details on why and how to care for ourselves and 
3-Make it easy to share the same information with family members in a reliable way

Baumblatt uses the example of dietary sodium and fluids in relation to heart failure. She states, “It sounds straightforward, but people don’t understand why salt and fluids affect heart failure.” She says that patient education through asynchronous communication like videos or animation can help people understand why and how to manage. It’s often about hidden salt in sauces and canned goods – and not just salting your food.”

Here are a few examples of how and when asynchronous communication contributes to  our healthcare:

  • Clinicians can use care communication platforms to e-prescribe videos, decision aids, and other resources before or after appointments. We can watch these videos and read these resources at a convenient time when we can be focused. We can also take the time to prepare for our next conversation and note what we need to do to stick with the care plan.
  • During non-office hours, we can upload photographs of dermatology problems for our doctors. (one example)
  • We can log in information about blood pressure, blood sugar results, or food intake as part of ongoing monitoring. 
  • Using an online portal, we can ask questions during times that are most convenient for us, and doctors can take the time to respond.
  • After hospital discharge to home, rehab, or any transition of care, reviewing videos that reinforce discharge instructions can provide added clarity and opportunities for questions.
  • After an initial diagnosis when there are so many questions.

According to a 2021 article published in the Journal of Internet Medicine, asynchronous communication improved clinical outcomes, especially in chronic conditions like diabetes and high blood pressure.

Protip: Meet with your health care provider routinely, more so if you’re living with a chronic condition. Have your provider reiterate long-term healthcare goals and interventions. Like our bank account, our healthcare needs consistent monitoring and regular accounting to offer the best chances for success. Ask for information and updated recommendations that you can study or work on between visits, like videos, podcasts, or reading materials.

How does asynchronous communication work in healthcare?

Asynchronous communication works when there isn’t an emergency or need for immediate feedback. This type of communication works best when there is a need to deliver or exchange information, but a quick response isn’t needed. Asynchronous works well because it allows the information giver (healthcare professional) and receiver (you) to deliver or process the content without feeling pressed for time.

Baumblatt uses the example of a healthcare professional giving medical information through a video and stating, “I’ll send you a video that you can watch whenever you want to watch it, and then send me your questions.” This communication style offers you as the patient ample time to watch the video as often as you’d like and formulate meaningful questions in your own time. “People need time for information to register, to sink in and digest the content.”

Why do we want clinicians to “prescribe” information versus finding it ourselves via “Dr. Google?”

Baumblatt acknowledges the temptation to do our internet search versus reaching out and asking our clinicians to provide information.

Says Baumblatt, “we have to be careful. It’s hard to know if a site is reputable and free of bias.  If you look up information on Google or listen to a particular podcast, how do you know this person or organization is reliable? Are they trying to sell you something, or do they have a specific point of view that leaves out other options? Or the info can be good, but not right for your specific situation or at that point in your health journey.”

Information provided by your clinician gives you the peace of mind that the content is factual and suitable for you, instead of from unverifiable sources on the internet. 

Protip: When visiting a website, consider the source. Check the “about us” page and look for credentials. Evaluate who runs the website. For the most part, branches of government, a medical organization, or a university are reliable sources. Study the quality of the material and check for an editorial board. Anyone can make a website look legitimate, so be skeptical. When in doubt, ask your provider to vet the site. For more about evaluating internet health information, go to the U.S. National Library of Medicine

What about transitions from one care setting to another?

When moving from one care setting to another, it’s essential to ask the nurses and discharge planners to provide patient education well in advance.  Ask for videos whenever possible.  With the right information provided at the right time, you will know what to expect and what you will need to do in this next phase of our treatment and recovery.  Remember, getting this information while in the hospital is not the best way.

Here’s Baumblatt: When you or a loved one is going home from any type of care setting (hospital, rehab, same-day surgery), there’s a lot you need to understand. And it’s very scary and overwhelming. And we know that the clinic, especially in the hospital, isn’t an ideal place to try and educate patients. People forget about 80% of what we tell them. And the 20% they remember might not be quite right. So people are disoriented, scared, confused, in pain, and maybe on medication. And we know that working memory just has very real limitations for what you can remember to do, like me with my physical therapy, once you get home.”

“However, it can be a good time to do some hands-on training for the family members and care partners to get them more comfortable with the care they’ll be helping with at home. Some hospitals are actively making them part of the care team.

Protip: if you or a loved one is going from hospital to home, ask for information that you can read or a video or other content that you can watch–well before discharge. Be sure that it’s all not simply spoken to you. Reiterate that you will be more able to retain the instructions if provided in advance. Let them know you want time to review, digest, and formulate questions at discharge. Then, with the detailed information in hand before the procedure, you can check it when your head is clear and ensure ample time to prepare.  Are you preparing for surgery? We have you covered!

What if my provider is not “prescribing” information?

Rather than going it alone with Dr. Google, Baumblatt encourages us to reach out to our clinicians. She advises us to ask our healthcare providers to direct us to websites or resources that are reliable and easy to understand. 

Protip: When our clinicians do recommend websites, ask them to be specific.  Are there specific pages or pieces of information that are right for you? Your clinician may have to get back to you, and that’s okay.
Baumblatt cautions the internet searchers among us to be wary of websites that might be promoting a product and to look at the site and assess how up-to-date it is, who created it, and do they have any other interests they might be pushing? Is this a reliable source of information? At the very least, she encourages us to ask our clinicians which websites potentially to avoid and which sites are most reputable.

Are online peer groups a beneficial way to get additional information?

Peer groups are most effective when it comes to their social aspect. They ease feelings of loneliness, foster resilience, and offer a trusted space to voice frustrations and concerns. However, Baumblatt cautions against using informal peer groups as the primary source of medical information. Sometimes the most vocal people in online groups represent the extremes–either those who have had an excellent experience or a bad experience.  The positive person wants to evangelize; the bad experience person wants to warn everyone. So it can be harder to get at what is a typical or common experience for a procedure or condition in these online forums.

Keep in mind, you can look for a trained peer mentor matched with your condition, age, etc. A peer mentor can be extremely helpful in building confidence and helping you to understand how to manage your condition or recovery. Geri has an excellent article on the Power of Peers where you can learn more.

Protip: Look for opportunities through advocacy groups for your specific condition and ask to be connected to a peer mentor program. For example, the Crohn’s and Colitis Association has a program called the Power of 2. Also, check to see if there is a knowledgeable, credentialed moderator for any of the groups that you find online. Groups with a credentialed moderator could be more beneficial than those that are strictly peer-peer with no moderation.

Tips for asking our healthcare providers for the information we need

Sometimes, it’s challenging for us to ask questions about our healthcare. We might feel intimidated, overwhelmed, or just don’t know where to start.

Next to the article, the page also holds calculated molecules
# 1
{
  "formula": "C8H7Cl2P",
  "method": "the ωB97M-V functional and the def2-TZVPD basis",
  "species": ["Cl", "C", "C", "P", "Cl", "C", "C", "C", "C", "C", "C", "H", "H", "H", "H", "H", "H", "H"],
  "coordinates": [[1.0355, 2.3436, -0.2968], [2.6640, 1.8289, 0.2477], [2.9492, 0.5038, 0.5546], [2.0660, -1.2794, 0.9995], [2.7020, -2.1284, -0.7094], [0.3335, -0.8522, 0.6958], [-0.4536, -0.2894, 1.7064], [-1.7605, 0.1390, 1.4246], [-2.2431, -0.0551, 0.1647], [-1.4722, -0.7066, -0.8416], [-0.1439, -1.0175, -0.5787], [3.4344, 2.5401, 0.2896], [4.0931, 0.4740, 0.7542], [-0.1695, -0.3965, 2.7358], [-2.2520, 0.6883, 2.0914], [-3.0823, 0.2436, -0.3552], [-1.8357, -0.8592, -1.8584], [0.5937, -1.4275, -1.2933]],
  "forces_ev_per_a": [[1.27, -0.06, 0.55], [-1.97, -4.60, 0.23], [1.11, 1.62, 0.61], [1.20, 3.10, 0.68], [0.36, -0.76, -0.73], [0.19, 0.35, 0.48], [-0.58, -1.13, -0.40], [2.74, -1.53, -2.31], [2.09, -1.63, -2.59], [1.03, 0.34, 0.58], [-0.38, -0.45, -0.82], [0.55, 1.13, -0.26], [-1.93, -0.44, -0.12], [0.50, 0.57, 0.36], [-2.19, 1.84, 2.86], [-2.54, 1.14, 0.47], [-0.25, 0.14, 0.39], [-1.20, 0.36, 0.01]],
  "max_force_ev_per_a": 5.01,
  "e_homo_ha": -0.33321,
  "total_energy_ha": -1570.71981,
  "e_lumo_ev": 0.312,
  "smiles": "Cl/C=C\\P(Cl)c1ccccc1"
}

# 2
{
  "formula": "C8H7ClN2",
  "method": "the ωB97M-V functional and the def2-TZVPD basis",
  "species": ["C", "C", "C", "C", "C", "C", "C", "C", "N", "N", "Cl", "H", "H", "H", "H", "H", "H", "H"],
  "coordinates": [[0.8388, 0.7101, -2.5626], [-0.1081, 1.5082, -1.9209], [1.3575, -0.4000, -1.8116], [-0.4743, 1.3729, -0.5756], [1.0327, -0.6565, -0.4965], [0.1786, 0.3461, 0.1010], [0.0258, 0.2352, 1.5526], [-1.0161, -1.4120, 2.0390], [0.2989, 1.0170, 2.4564], [-1.6389, -1.9810, 1.1674], [-1.2055, -1.6716, 3.7040], [1.1913, 0.8590, -3.5791], [-0.6594, 2.4461, -2.3566], [2.1169, -0.9146, -2.3649], [-1.1622, 2.0266, -0.0387], [1.6311, -1.4163, 0.0793], [0.0034, 0.6808, 3.3454], [-2.4106, -2.7501, 1.2613]],
  "forces_ev_per_a": [[-0.65, -0.86, 1.84], [-1.64, 2.80, -0.84], [-0.07, 1.37, -1.37], [1.47, -1.53, -0.21], [0.11, 1.71, 0.09], [0.55, -1.73, 0.79], [-2.23, -3.14, 0.46], [1.60, 2.96, -0.97], [0.45, 0.84, -0.37], [-2.31, -2.16, -2.34], [0.19, 0.06, 1.72], [-0.26, 0.14, 0.21], [1.46, -2.00, 0.00], [0.27, -0.80, 0.19], [0.29, -0.11, -0.36], [-1.19, 0.86, -0.47], [-0.21, -0.30, 1.13], [2.17, 1.88, 0.53]],
  "max_force_ev_per_a": 3.94,
  "e_homo_ha": -0.32387,
  "total_energy_ha": -878.64962,
  "e_lumo_ev": 0.464
}

# 3
{
  "formula": "C8H7ClNO3S",
  "method": "the ωB97M-V functional and the def2-TZVPD basis",
  "species": ["C", "C", "C", "C", "C", "C", "C", "C", "N", "O", "O", "O", "S", "Cl", "H", "H", "H", "H", "H", "H", "H"],

  1. Ask for a complete orientation to your condition. If you have an on going condition, you can do this once a year as a refresher.
  2. ask for resources that offer understandable information and explanations.
  3. If you have a chronic condition, ask your healthcare provider about the long-term effects, what care is necessary, and what you can do to prevent any complications.
  4. It’s okay to ask your provider to clarify or repeat information.
  5. Write down your questions and send them to our healthcare provider in advance when you can. Or hand them a written list of questions at the beginning of your visit.

Molecular data, as found in the file =
Record 1
{
  "formula": "C10H17FN2O4PS",
  "method": "ωB97M-V/def2-TZVPD",
  "charge": -1,
  "fmax_ev_per_a": 9.234,
  "molar_mass_g_mol": 311.29,
  "gap_ev": 7.6,
  "symbols": ["O", "C", "O", "C", "C", "C", "P", "C", "C", "S", "C", "N", "N", "C", "O", "C", "C", "O", "F", "H", "H", "H", "H", "H", "H", "H", "H", "H", "H", "H", "H", "H", "H", "H", "H", "H"],
  "positions_angstrom": [[-2.509, 1.367, -1.441], [-1.557, 2.223, -1.043], [-0.729, 2.892, -2.061], [-1.427, 2.459, 0.597], [0.122, 2.600, 1.121], [0.766, 1.166, 1.680], [1.170, -0.073, 0.252], [0.784, -1.608, 1.308], [-0.009, -2.734, 0.360], [-1.784, -3.051, 0.947], [-2.843, -2.304, -0.438], [-4.002, -1.333, -0.372], [-4.437, -1.044, -1.679], [-3.542, -1.884, -2.591], [-2.551, -2.682, -1.833], [3.031, -0.068, 0.653], [3.914, -0.396, -0.726], [4.107, -1.623, -1.221], [4.564, 0.766, -1.413], [0.257, 2.792, -1.836], [-2.043, 1.682, 1.230], [-1.945, 3.515, 0.796], [0.777, 3.097, 0.282], [0.083, 3.314, 2.075], [-0.009, 0.756, 2.455], [1.723, 1.487, 2.301], [1.477, -0.892, -0.913], [-0.213, -0.076, -0.208], [1.401, 1.092, -0.600], [0.034, -1.411, 2.215], [1.705, -2.174, 1.751], [-0.071, -2.423, -0.768], [0.593, -3.751, 0.402], [-3.628, -1.879, -3.767], [3.380, -0.812, 1.484], [3.410, 1.009, 1.002]]
}


Record 2
{
  "formula": "C10H17FN3P",
  "method": "ωB97M-V/def2-TZVPD",
  "smiles": "CN(C)P(F)(=Nc1ccccc1)N(C)C",
  "fmax_ev_per_a": 5.857,
  "de_lowest_kj_mol": 0.00,
  "molar_mass_g_mol": 229.24,
  "gap_ev": 8.2,
  "symbols": ["C", "C", "C", "C", "C", "C", "C", "C", "C", "C", "N", "N", "N", "F", "P", "H", "H", "H", "H", "H", "H", "H", "H", "H", "H", "H", "H", "H", "H", "H", "H", "H"],
  "positions_angstrom": [[-4.420, -0.065, -0.104], [-3.699, -0.584, -1.168], [-3.816, 0.749, 0.833], [-2.370, -0.298, -1.248], [-2.538, 1.074, 0.776], [-1.721, 0.550, -0.251], [2.000, 2.483, 0.077], [3.476, 0.621, -0.632], [0.929, -2.617, -0.124], [1.243, -1.083, 1.703], [-0.449, 0.936, -0.405], [2.197, 1.082, -0.189], [1.412, -1.286, 0.259], [1.268, -0.544, -2.045], [0.927, 0.098, -0.540], [-5.571, -0.270, 0.055], [-4.197, -1.169, -1.923], [-4.420, 1.132, 1.672], [-1.732, -0.615, -2.027], [-1.927, 1.766, 1.509], [1.161, 2.907, -0.317], [2.056, 2.585, 1.136], [2.678, 3.167, -0.451], [3.358, -0.429, -0.742], [4.011, 1.162, -1.392], [4.025, 0.802, 0.362], [0.881, -2.695, -1.188], [1.756, -3.419, 0.082], [0.042, -2.947, 0.358], [1.136, 0.065, 1.728], [0.253, -1.608, 1.934], [2.049, -1.549, 2.262]]
}


Record 3
{
  "formula": "C10H17FeP",
  "method": "ωB97M-V/def2-TZVPD",
  "charge": 3,
  "fmax_ev_per_a": 1.422,
  "multiplicity": 6,
  "s2": 8.761,
  "molar_mass_g_mol": 224.07,
  "gap_ev": [4.7, 3.5],
  "symbols": ["C", "C", "C", "P", "C", "C", "C", "C", "C", "C", "C", "H", "H", "H", "H", "H", "H", "H", "H", "H", "H", "H", "H", "H", "H", "H", "H", "H", "Fe"],

Baumblatt gives the following recommendations:

Ask for a complete orientation to your condition. If you have an ongoing condition, you can do this once a year as a refresher.

Ask for resources that offer understandable information and explanations. 


Protip: Baumblatt reminds us, “we need to hear information multiple times to remember” – that is why reviewing information like videos and podcasts in-between visits is so important. We can then write down our questions and send those to our provider in advance of our appointment.

Communication is key

Healthcare shouldn’t end when you leave your appointments because your health doesn’t stop when you leave the exam room. Keeping the focus on your healthcare means utilizing any form of communication with your providers, whether through video visits, text, web portals, or website information. Asynchronous communication fills the void that face-to-face communication leaves and can help us prepare better for those conversations. Who hasn’t left an appointment with a clinician forgetting to ask a question or not precisely remembering the instructions or explanation of our condition and what we can do about it?

When you have credible information “prescribed” by your healthcare provider, you are confident you have the proper recommendations for your health and well-being.

Protip: Want to alert your healthcare provider to a free service that they can use for “prescribing” great information to you and their other patients? Check out this excellent explainer video that introduces Docola Docola allows clinicians to e-prescribe relevant education to patients. In addition, Docola has a library of credible patient education materials and tools developed by leading experts and academic medical centers.